Know Your Dosha

-- begin --
Computed XRD peak list
Compound: Cu4S2Cl
Radiation: Cu Kα, 1.54184 Å
Structure: DFT lattice parameters and positions (GGA-PBE)
No peak broadening, texture or thermal motion is included.

Crystal structure
```
data_Cu4S2Cl
_chemical_formula_sum 'Cu16 S8 Cl4'
_symmetry_space_group_name_H-M 'P b c m'
_symmetry_Int_Tables_number 57
_cell_length_a 3.5493
_cell_length_b 13.3687
_cell_length_c 10.6399
_cell_angle_alpha 90.00
_cell_angle_beta 90.00
_cell_angle_gamma 90.00
loop_
_symmetry_equiv_pos_as_xyz
'x,y,z'
'-x,-y,-z'
'-x,-y,z+1/2'
'x,y,-z+1/2'
'x,-y+1/2,-z'
'-x,y+1/2,z'
'-x,y+1/2,-z+1/2'
'x,-y+1/2,z+1/2'
loop_
_atom_site_label
_atom_site_fract_x
_atom_site_fract_y
_atom_site_fract_z
Cu1 0.0042 0.2500 0.0000
Cu2 0.4160 0.5194 0.1107
Cu3 0.4927 0.6364 0.7500
S1 0.4986 0.6431 0.5473
Cl1 0.0189 0.6003 0.2500
```

Principal peaks in the range 2θ = 5–70°, in order of rising 2θ:
- d = 3.549 Å, 2θ = 25.09°, rel. 66, hkl 1 0 0
- d = 3.189 Å, 2θ = 27.98°, rel. 36, hkl 0 4 1
- d = 3.135 Å, 2θ = 28.47°, rel. 92, hkl 1 2 0
- d = 3.007 Å, 2θ = 29.71°, rel. 79, hkl 1 2 1
- d = 2.830 Å, 2θ = 31.62°, rel. 59, hkl 0 4 2
- d = 2.701 Å, 2θ = 33.17°, rel. 53, hkl 1 2 2
- d = 2.471 Å, 2θ = 36.36°, rel. 100, hkl 0 2 4
- d = 1.887 Å, 2θ = 48.23°, rel. 65, hkl 1 6 0
- d = 1.858 Å, 2θ = 49.03°, rel. 39, hkl 1 6 1
- d = 1.795 Å, 2θ = 50.86°, rel. 83, hkl 1 4 4
- d = 1.774 Å, 2θ = 51.50°, rel. 39, hkl 2 0 0
- d = 1.761 Å, 2θ = 51.94°, rel. 43, hkl 1 2 5



Computed XRD peak list
Compound: Cu4S2Cl3
Radiation: Cu Kα, 1.54184 Å
Structure: DFT lattice parameters and positions (GGA-PBE)
No peak broadening, texture or thermal motion is included.

Crystal structure
```
data_Cu4S2Cl3
_chemical_formula_sum 'Cu8 S4 Cl6'
_symmetry_space_group_name_H-M 'C 1 2/m 1'
_symmetry_Int_Tables_number 12
_cell_length_a 13.0541
_cell_length_b 3.3296
_cell_length_c 8.5589
_cell_angle_alpha 90.00
_cell_angle_beta 107.80
_cell_angle_gamma 90.00
loop_
_symmetry_equiv_pos_as_xyz
'x,y,z'
'-x,-y,-z'
'-x,y,-z'
'x,-y,z'
'x+1/2,y+1/2,z'
'-x+1/2,-y+1/2,-z'
'-x+1/2,y+1/2,-z'
'x+1/2,-y+1/2,z'
loop_
_atom_site_label
_atom_site_fract_x
_atom_site_fract_y
_atom_site_fract_z
Cu1 0.1488 0.0000 0.0419
Cu2 0.1749 0.5000 0.6330
S1 0.2200 0.0000 0.8271
Cl1 0.0000 0.5000 0.0000
Cl2 0.1189 0.0000 0.4403
```

Principal peaks in the range 2θ = 5–70°, in order of rising 2θ:
- d = 6.215 Å, 2θ = 14.25°, rel. 100, hkl 2 0 0
- d = 4.075 Å, 2θ = 21.81°, rel. 46, hkl 0 0 2
- d = 4.017 Å, 2θ = 22.13°, rel. 43, hkl 2 0 -2
- d = 3.253 Å, 2θ = 27.42°, rel. 29, hkl 4 0 -1
- d = 2.942 Å, 2θ = 30.38°, rel. 60, hkl 4 0 -2
- d = 2.623 Å, 2θ = 34.18°, rel. 38, hkl 3 1 -1
- d = 2.433 Å, 2θ = 36.95°, rel. 46, hkl 1 1 2
- d = 2.346 Å, 2θ = 38.36°, rel. 71, hkl 3 1 1
- d = 1.999 Å, 2θ = 45.37°, rel. 34, hkl 1 1 3
- d = 1.835 Å, 2θ = 49.70°, rel. 65, hkl 5 1 -3
- d = 1.776 Å, 2θ = 51.45°, rel. 28, hkl 3 1 -4
- d = 1.448 Å, 2θ = 64.33°, rel. 27, hkl 6 0 3



Computed XRD peak list
Compound: CuS4Cl
Radiation: Cu Kα, 1.54184 Å
-- stop --
End of the calculated crystals


Know Your Dosha is a short self-paced course designed to help you understand your dosha constitution (mind-body type) along with some simple yet effective tools to help you be at your most healthy.  With 75 minutes of engaging video content, reflective tasks and a quiz to check your understanding, Know Your Dosha is a great way to start your Ayurvedic learning.  The course is self-paced and you have access to the materials for 6 months from purchase.

The course is created by and features Jo and Kate, both fully qualified Ayurvedic practitioners (BSc Ayurveda) and full members of the Ayurvedic Professionals Association. All content is direct from the classical Ayurvedic texts combined with modern interpretation, supported by research.



Know Your Dosha is a short Ayurveda course designed to help you understand your dosha constitution (mind-body type) along with some simple yet effective tools to help you be at your most healthy.  With 75 minutes of engaging video content, reflective tasks and a quiz to check your understanding, Know Your Dosha is a great way to start your Ayurvedic learning.  The course is self-paced and you have access to the materials for 6 months from purchase.

The course is created by and features Jo and Kate, both fully qualified Ayurvedic practitioners (BSc Ayurveda) and full members of the Ayurvedic Professionals Association. All content is direct from the classical Ayurvedic texts combined with modern interpretation, supported by research.

We all want to be healthy and to live our lives to their full potential but with so much advice on healthy living, it can be hard to know what’s best for us – especially when it comes to food for example.  Ayurveda offers us a way to bring ourselves back into balance through understanding our mind-body type and adopting tailored herbs, diet and lifestyle advice.

Although we are all beautifully unique, Ayurveda divides us into three main ‘mind-body types’, known as the dosha. This determines what you look like, your mental characteristics and your personality. Knowing your ‘dosha blueprint’ can also give you profound insights into how to get the most out of your life. Babies aren’t born with a user’s manual, but knowing which Ayurvedic dosha, or mind-body type you are, and how to keep this in balance is a good place to start. Once you start to understand your balance of the dosha, you’ll also start to spot their characteristics in your friends, family and colleagues which can really help you understand them better.

This short Ayurveda course will encourage you to:     
  • Better connect with and understand yourself – Ayurveda is focused on accepting ourselves as we are, playing to our strengths and nurturing our weaknesses
  • Look at the world around you in terms of the elements and the dosha and appreciate the fundamental law of ‘like increases like’
  • Learn more about vata, pitta, kapha constitutions as well as dual and tridoshic constitutions
  • Look at your friends, family and work colleagues through the dosha lens to enable better relationships and understanding
  • Discover what food is best for your dosha constitution
  • Tailor your lifestyle to your mind-body type
  • Live the most fulfilled life you can! Ayurveda is not about living the perfect life, but living the best life for you.
The lessons of the course are:
  1. Ayurveda
  2. The elements
  3. The dosha and vata
  4. Pitta
  5. Kapha
  6. Dual and tridoshic constitutions
  7. Where to learn more
  8. Quiz to check your knowledge